Sri Lanka celebrates 20 years of internet

Tuesday, 23 June 2015 00:01 -     - {{hitsCtrl.values.hits}}

By Hiyal Biyagamage

Sri Lanka recently celebrated its 20th anniversary of obtaining a dedicated connection to the internet. To mark the historic milestone, the Internet Society Sri Lanka Chapter organised an event titled ‘20 Years of Internet in Sri Lanka’ to look back at the achievements which established the internet as a decisive technological factor over the last two decades in the country and to honour the pioneers who made internet a reality in Sri Lanka.

Even though the presence of the internet was genuinely embraced in 1995, Sri Lanka as a country mooted the idea of connecting computers together to form networks in the mid-1980s and brought forward ICT policies to the fore as one of the few countries in Asia. By the end of 1989, Sri Lanka experienced its first e-mail connection which used a dial-up modem.



A hard-earned achievement

Reminiscing about the era from 1984 to 1995, Prof. Abhaya Induruwa, widely known as the father of internet in Sri Lanka, spoke about how ICT policies sustained back in the ’80s, birth of LEARN (Lanka Experimental Academic and Research Network) and how Sri Lanka got connected to the world via the internet.

“When we take the time period between the late 1980s and early 1990s, the ingredients we were looking for to embrace many technological novelties which were happening around the world were policy support and funding support. Under the Chairmanship of Prof. Mohan Munasinghe, CINTEC (Council for Information Technology, which was the initial policy making body for IT in Sri Lanka) started populating policies in 1984 which included the early introduction of ideas and how data communication should foster itself in the country. Around the same time, the committee appointed by the Vice Chancellor of University of Moratuwa recommended that data communication should be the deciding factor when it comes to requirements of IT and internet within the university as well as in Sri Lanka,” he said.

Prof. Induruwa said that it was CINTEC which gave the first donation of Rs. 12,500 which helped the engineers to buy the first high-speed modem to connect Sri Lanka to the United States. This followed by a donation of Rs. 3 million from the University Grants Commission in 1993 to deploy LEARN. Parallel to this, a non-profit organisation called LAcNet (Lanka Academic Network) which was set up in USA was funding the transfer of emails from Sri Lanka to USA using a dial-up connection.



From a radio shack to LEARN

“In the 1985/1986 period with the use of an old TRS 80 model which ran Xenix, we were able to demonstrate a remote login from University of Moratuwa (UoM) which connected a computer in University of Colombo for the very first time. In 1987, the Arthur C. Clarke Centre tried to introduce a kind of proprietary model called Mallard Mail Box. Sir Arthur was a great proponent of this technology, but unfortunately it did not succeed at that time. Around 1989, we saw the real beginning of an era of multi-user computing in Sri Lanka which was instigated by UoM. We were very fortunate to receive a grant of Yen 400 million from the Japanese Government and we were able to procure 50 286 computers (IBM XT 286) which had Windows 3.11 installed.”

He mentioned his proposal to the Sri Lankan Government about implementing LEARN. The idea was to set up a country-wide network for academic and research networking. However, setting up LEARN using X.25 technology in 1989 was a daunting task and his efforts to secure some funds from the University Grants Commission (UGC) were in vain.

“In June 1990, we established LEARNMail. It was Sri Lanka’s first IP-based email system and offered internet email service to the Sri Lankan academic and research community. We were dialling roughly about three times a week (using a dial-up connection) when it started but within a few months, we were connecting three times a day to send mails and download content.

“In 1992, we were finally able to get Rs. 3 million from UGC and using that money, we were able to set up the first IP WAN (Wide Area Network) in Sri Lanka in 1994/1995. Using three 64 Kbps wireless links and associated networking devices, we connected both University of Colombo and the Open University of Sri Lanka to UoM. In 1995, Sri Lanka Telecom decided to expedite the connectivity of Sri Lanka internet services, making it the very first ISP (Internet Service Provider) of the country and LEARN was also permanently connected to the internet. It was a moment of truth and history for Sri Lanka when finally we connected to the world,” said Prof. Induruwa.



Internet – the pivotal element in the information age

Addressing the gathering, ICT Agency Sri Lanka Chairperson Chitranganie Mubarak said that the internet was the pivotal technology of the information age. “It drives the hottest stocks in the Wall Street and shakes many technological innovations presently,” she said.

It is reported that during the last year, all three billion of the world’s internet users sent 200 million emails, uploaded 72 hours of YouTube videos, undertook four million Google searches, spent $ 30,000 on Amazon, just spending a single minute every day. However, Mubarak said that a portion of people believes that the internet has only aggravated existing cultural, social and economic inequalities.

“They feel that the internet has ended up giving extraordinary power and wealth to a few. When you take an entity like Google, which controls more than 90% of the internet business in most of the countries, and is valued at $ 400 billion whereas General Motors which employs more people than Google does is valued at $ 50 billion, just imagine the wealth generated by the internet for people like Mark Zuckerberg or Jack Ma of Alibaba? Whatever these giants have achieved, what has it meant for us? What has internet meant for governments, commerce and society?” she opined.

According to Mubarak, ICT has become an integral component of the international development agenda and because of this very reason, millions of dollars are being invested each year on technological innovation.

“A large number of applications and devices are being produced with the expectation that it could lift development initiatives of governments, NGOs or other funding organisations. The situation has been the same in Sri Lanka. With the launch of the e-Sri Lanka initiative; the hype has increased to use ICT as a tool to enable the social economic development in the country. The large number of projects implemented across the country has devised to empower communities and to bring a range of products and services to their doorsteps. We have seen a high degree of innovation in these projects and they were implemented by people of different capacities and capabilities under hugely differing circumstances in different environments. These projects also vary from complex to very simple.”

Due to several reasons, some of the potential local projects were not properly rolled out by previous authorities, she mentioned.



“Unfortunately, a great majority of these projects could not be sustained or were not adopted by relevant institutions who could have sustained them. Where do we go from here? From a standpoint of a society that boasts of around 40% IT literacy, it is important to address these questions to negotiate our next move. The recently-released Network Readiness Index (NRI) was very promising. Sri Lanka has been able to jump 11 places, ranking 65th among 143 economies. Now we are in the top half of the NRI, significantly ahead of our neighbours. Yet, activities performed by the average citizen and businesses over the internet are still limited in Sri Lanka. Social engagement via the internet of course is very much on the rise, particularly among the youth, but citizens and businesses are yet to make noteworthy gains from digitisation of public services,” said Mubarak.

She also said: “There are some services which had the start but couldn’t deliver the results. One of those would be the electronic national identity card. If this project gets off the shelf when the right time comes, it would transform the way citizens interact with the Government. We are really looking forward to having that project up and running very soon. I should also mention the range of citizen-centric e-government services offered to all Sri Lankans. There have been massive improvements in these but they are not visible to the public.”



Next generation of internet

Speaking on moving to the next generation of internet, Mubarak said that several key issues like connectivity, quality broadband and broadband prices should be resolved soon. She emphasised that the ICT sector of the country should make a persistent effort to facilitate adoption of new technologies rather than adapting to new technologies. Mubarak also gave few insights into couple of initiatives that ICTA is looking forward to implement within the next two to three years, including bringing big data aspect into e-government services.

“What should be our priorities and on what aspects should we focus if we are to move into the next generation internet? Connectivity is a main issue. Access to broadband-enabled services is a key condition for competitiveness. Quality broadband at an affordable price should be our goal. Although Sri Lanka boasts affordable rates, it is just a small portion of internet access. Analysts state that each time a country doubles its broadband speed, economic output increases by 0.3%. It could be to a wider use of internet by citizens from online content consumption to online shopping.



“Another very important requirement would be the setting up of an online payment mechanism that lends itself to use by citizens and businesses across the country; not just a few citizens and businesses, but everyone. It is obvious that we need to shift to the mobile. The whole country is moving towards mobile devices and mobile broadband. A mobile service delivery platform for the Government is definitely on the cards.

“Another important point to ponder is that the Government and all the institutions in the ICT sector should make a strenuous effort to facilitate adoption of new technologies rather than adapting to new technologies by society. We need to move fast or else, we’ll be playing catch-up forever or worse. Big data would be the next big move for us. By September, we envisaged that the relevant platforms and infrastructure would be placed properly to allow analysis of huge data streams from Government which is undoubtedly needed for the development of more citizen-friendly public services,” said Mubarak.



Internet is weak in Asia

Prof. Rohan Samarajiva, founding Chair of LIRNEasia, also addressed the gathering. Mentioning that a chain is as strong as its weakest link, Prof. Samarajiva said that internet is a weak link in the Asian region.

“What we have found through our research at LIRNEasia is that today, the real problem is the internet’s international connectivity. If you can have some kind of Sri Lankan internet, where all the websites that you want to reach are within a special sphere, I think we’ll be able to do a decent job with our networks. But today with the problems of performance, the whole region has become a poor-performing internet hub with its poor international connectivity. When you run downloads using a local server, we get relatively good performance but when we use an international server, we get degraded performance,” he said.

Comparing Sri Lanka’s internet usage, he said, “According to the ITU, we have about one in five Sri Lankans connected as internet users (internet users/100 equals 21.9). According to my research, we should have a bit more (internet users/100 equals 34.8) but still this is not enough for a middle-income country like Sri Lanka.”

The piece is interrupted by calculated crystals:
____________
Starting from the PBE geometry in Alexandria, the powder diffractogram of CaZn2Au6 was simulated for Cu Kα (λ = 1.5418 Å).
Intensities are scaled so that the largest is 100.

Principal peaks in the range 2θ from 10° to 80°, by intensity:
2θ 37.1, I 100, hkl 2 0 0; 2θ 45.0, I 75, hkl 2 0 2; 2θ 18.3, I 60, hkl 1 0 0; 2θ 24.5, I 38, hkl 0 0 2; 2θ 53.5, I 26, hkl 2 0 3; 2θ 76.3, I 25, hkl 2 0 5; 2θ 40.7, I 25, hkl 1 1 2; 2θ 79.1, I 23, hkl 4 0 0; 2θ 39.2, I 20, hkl 2 0 1; 2θ 66.9, I 20, hkl 2 2 0

Lattice parameters (Å, degrees): 5.5911 5.5911 7.2801 90.00 90.00 120.00
Space group P6/mmm (No. 191)
Symmetry-distinct sites (fractional):
Ca1 0.0000 0.0000 0.0000 (multiplicity 1)
Zn1 0.3333 0.6667 0.5000 (multiplicity 2)
Au1 0.0000 0.5000 0.2048 (multiplicity 6)


The following is a computed X-ray diffraction stick pattern of LiMnCdH6. It was derived from the GGA-PBE geometry in Alexandria, using λ = 1.5418 Å (Cu Kα).
Lines closer than 0.1° are merged.

Atomic structure:
```
data_LiMnCdH6
_symmetry_space_group_name_H-M 'P 63/m m c'
_symmetry_Int_Tables_number 194
_symmetry_space_group_name_Hall '-P 6c 2c'
_cell_length_a 4.5711
_cell_length_b 4.5711
_cell_length_c 8.2436
_cell_angle_alpha 90.00
_cell_angle_beta 90.00
_cell_angle_gamma 120.00
loop_
_atom_site_label
_atom_site_fract_x
_atom_site_fract_y
_atom_site_fract_z
_atom_site_occupancy
Li1 0.3333 0.6667 0.2500 1
Mn1 0.3333 0.6667 0.7500 1
Cd1 0.0000 0.0000 0.0000 1
H1 0.0363 0.5181 0.6192 1
```

Principal peaks in the range 10° ≤ 2θ ≤ 90°, low angle first:
hkl 1 0 0, d = 3.959 Å, I = 35
hkl 1 0 1, d = 3.569 Å, I = 18
hkl 1 0 2, d = 2.855 Å, I = 100
hkl 1 1 0, d = 2.286 Å, I = 38
hkl 0 0 4, d = 2.061 Å, I = 9
hkl 2 0 0, d = 1.979 Å, I = 7
hkl 1 0 4, d = 1.828 Å, I = 9
hkl 2 0 2, d = 1.784 Å, I = 24
hkl 1 1 4, d = 1.531 Å, I = 21
hkl 2 1 2, d = 1.406 Å, I = 21
hkl 1 0 6, d = 1.298 Å, I = 8
hkl 3 0 4, d = 1.111 Å, I = 7


The following is a computed X-ray diffraction stick pattern of Na2LiCdH5. It was derived from the GGA-PBE geometry in Alexandria, using λ = 1.5418 Å (Cu Kα).
Lines closer than 0.1° are merged.

Atomic structure:
```
data_Na2LiCdH5
_symmetry_space_group_name_H-M 'C m c 21'
_symmetry_Int_Tables_number 36
_cell_length_a 3.217
_cell_length_b 12.866
_cell_length_c 10.516
_cell_angle_alpha 90.00
_cell_angle_beta 90.00
_cell_angle_gamma 90.00
loop_
_symmetry_equiv_pos_as_xyz
'x,y,z'
'-x,-y,z+1/2'
'-x,y,z'
'x,-y,z+1/2'
'x+1/2,y+1/2,z'
'-x+1/2,-y+1/2,z+1/2'
'-x+1/2,y+1/2,z'
'x+1/2,-y+1/2,z+1/2'
loop_
_atom_site_label
_atom_site_fract_x
_atom_site_fract_y
_atom_site_fract_z
_atom_site_occupancy
Na1 0.000 0.102 0.000 1
Na2 0.000 0.160 0.642 1
Li1 0.000 0.221 0.371 1
Cd1 0.000 0.461 0.777 1
H1 0.000 0.054 0.380 1
H2 0.000 0.273 0.005 1
H3 0.000 0.309 0.756 1
H4 0.000 0.378 0.334 1
H5 0.000 0.499 0.109 1
```

Principal peaks in the range 10° ≤ 2θ ≤ 90°, low angle first:
hkl 0 2 0, d = 6.433 Å, I = 100
hkl 0 2 1, d = 5.488 Å, I = 24
hkl 0 0 2, d = 5.258 Å, I = 63
hkl 0 2 2, d = 4.071 Å, I = 73
____________

He also discussed the region’s latency issues. “Latency is critically important for what we do using the internet. To resolve a URL sometimes, you need latency. The desirable latency from a regulatory perspective is 300ms and none of mobile networks in the region meet this target. Like most other ISPs in region, Sri Lanka ISPs perform poorly on latency,” he said.

He mentioned that Sri Lanka has made progress from the ‘bad old days’ where people fought over for a speed of 64kpbs. He also pointed out that from a capacity-wise, purchase rules were increasingly relaxed from SEAME-WE 2 to SEAME-WE 4 and Sri Lankan Government compelling Sri Lanka Telecom in 2004 to permit Tata (then VSNL) to use SEA-ME-WE 3, which set the foundation country’s BPO/BPM sector. “BPO providers were not willing to come here and be captive to one single provider. They wanted a choice of providers and we were able to give them that choice only from that day.”



SEA-ME-WE 5 is Sri Lanka’s future

Prof. Samarajiva was firm on the fact that SEA-ME-WE 5 is Sri Lanka’s future. “It is coming and landing in Matara and we are very happy about it. Not only it is going to be landing in Matara but we are also going to have a repair facility in the Hambantota Port.”

According to him, SEA-ME-WE 5 is going to reduce latency because for first time, Sri Lanka will be directly connected to the consortium cable (previous connections through branch cables) and Hambantota Port will host the submarine cable depot, which may improve speed of recovery from cable breaks in region.

/*
(1)
For BiPd4Pb2, a structure optimized by DFT (PBE) gives the simulated powder X-ray diffraction pattern in this record (CuKα).
Peak positions follow from Bragg's law for the DFT cell and can differ from measured ones.

Principal peaks in the range 10 to 80 degrees two-theta, sorted by position:
hkl	Position (°2θ)	d [Å]	I_rel
2 1 2	29.37	3.041	75
2 2 2	34.14	2.626	100
1 3 0	38.02	2.367	72
2 -1 1	38.56	2.335	60
2 0 3	38.69	2.327	48
3 2 1	39.43	2.286	53

Structure:
```
data_BiPd4Pb2
_chemical_formula_sum 'Bi2 Pd8 Pb4'
_space_group_name_H-M_alt 'P 1'
_space_group_IT_number 1
_cell_length_a 7.0044
_cell_length_b 7.1898
_cell_length_c 7.5707
_cell_angle_alpha 87.28
_cell_angle_beta 65.37
_cell_angle_gamma 61.20
loop_
_space_group_symop_operation_xyz
'x,y,z'
loop_
_atom_site_label
_atom_site_fract_x
_atom_site_fract_y
_atom_site_fract_z
Bi1 0.0000 0.0000 0.0000
Bi2 0.4391 0.4716 0.9657
Pd1 0.1551 0.2838 0.0833
Pd2 0.3750 0.0149 0.6897
Pd3 0.3823 0.8504 0.1220
Pd4 0.4195 0.3925 0.6302
Pd5 0.6462 0.4220 0.2319
Pd6 0.6932 0.9980 0.8336
Pd7 0.8284 0.0014 0.4050
Pd8 0.9106 0.2536 0.6271
Pb1 0.2024 0.7857 0.5171
Pb2 0.3952 0.1620 0.3327
Pb3 0.7960 0.6142 0.4379
Pb4 0.9061 0.5549 0.8736
```



(2)
For Li2Ca2PrPb2, a structure optimized by DFT (PBE) gives the simulated powder X-ray diffraction pattern in this record (CuKα).
Peak positions follow from Bragg's law for the DFT cell and can differ from measured ones.

Principal peaks in the range 10 to 80 degrees two-theta, sorted by position:
hkl	Position (°2θ)	d [Å]	I_rel
0 1 2	21.68	4.099	47
1 0 4	24.33	3.658	100
1 0 7	30.52	2.929	56
0 1 8	32.98	2.716	77
1 1 0	36.30	2.475	80
1 1 15	62.18	1.493	29

Structure:
```
data_Li2Ca2PrPb2
_chemical_formula_sum 'Li6 Ca6 Pr3 Pb6'
_space_group_name_H-M_alt 'R -3 m'
_space_group_IT_number 166
_space_group_name_Hall '-R 3 2"'
_cell_length_a 4.9490
_cell_length_b 4.9490
_cell_length_c 28.0807
_cell_angle_alpha 90.00
_cell_angle_beta 90.00
_cell_angle_gamma 120.00
loop_
_atom_site_label
_atom_site_fract_x
_atom_site_fract_y
_atom_site_fract_z
Li1 0.0000 0.0000 0.0973
Ca1 0.0000 0.0000 0.3707
Pr1 0.0000 0.0000 0.5000
Pb1 0.0000 0.0000 0.2375
```



(3)
For Fe2Ag2Cl7, a structure optimized by DFT (PBE) gives the simulated powder X-ray diffraction pattern in this record (CuKα).
Peak positions follow from Bragg's law for the DFT cell and can differ from measured ones.

Principal peaks in the range 10 to 80 degrees two-theta, sorted by position:
hkl	Position (°2θ)	d [Å]	I_rel
0 2 0	13.83	6.404	35
1 1 1	20.78	4.275	80
1 2 -1	21.49	4.136	100
0 1 2	24.25	3.670	32
1 4 -1	32.48	2.757	37
2 5 -1	45.55	1.991	33

Structure:
```
data_Fe2Ag2Cl7
_chemical_formula_sum 'Fe4 Ag4 Cl14'
_space_group_name_H-M_alt 'P 1 21/c 1'
_space_group_IT_number 14
_cell_length_a 6.5184
_cell_length_b 12.8068
_cell_length_c 7.7857
_cell_angle_alpha 90.00
_cell_angle_beta 100.29
_cell_angle_gamma 90.00
loop_
_space_group_symop_operation_xyz
'x,y,z'
'-x,-y,-z'
'-x,y+1/2,-z+1/2'
'x,-y+1/2,z+1/2'
loop_
*/
Here the page continues:

He also talked about the Bay of Bengal Gateway (BBG) which is going to be a hybrid terrestrial and submarine cable that bypasses Malacca, Suez and Hormuz choke points. It will be commissioned by the end of 2015 and Dialog Axiata has already announced that it will invest $ 30 million in the project.

“You might recall the chaos created when the cables were cut few years ago. When the cables are cut, we need backup and we need redundancy. We will get that when we have a completely different hybrid cable that would go and land in Oman and then will go over Europe. This reduces vulnerability to the risk of being cut off from SLT-controlled cables,” said Prof. Samarajiva.



“I think we are making progress and facilities-based competition is occurring. We have got adequate cables and we are not a weak and a vulnerable country, but it will take some time to be reflected in price and quality differences. In the short term, we still need regulatory actions. The main problem lies with broadband prices. When you take it as a whole, retail is low but the input is still too high. That means that companies are either not making enough money or in some cases, they are losing money, which is not a good omen in the long term.”

He asserted that steps should be taken to increase the quality of broadband and raised concerns on the fact that too much power is still concentrated at SLT which built its cable stations and cables when it was a part of the Government.

“Overall in Asia, internet is a weak link; not only for Sri Lanka but for many of the countries in the region. We have been working with the UNESCAP and now it is on top of their agenda to build a build terrestrial-maritime mesh network that will not be owned by telecom companies but all the telcos will be able to use it on an open access basis. With that, I think we will be able to truly claim the leadership of the internet that is ours, that is Asia’s.”


– Pix by Upul Abayasekara